Thursday, December 13, 2007

Early Morning

Just a quick post. Changed my hours at work for now in the winter so I go in at 8:30 and get off at 5. McKayla likes to stay a bit later in the afternoon to play with her friends. Anyways, decided to start getting up early to maybe work out someday, and have been hitting the beach for an hour or so before work. Been calm the last couple mornings, small surf and no wind. Been looking to get a halibut from the surf, but no go. Did manage this nice barred surfperch. Not bad considering they average between 5-7 inches. This one went about 11.5 inches. Caught a few small ones this morning, nothing big. Been nice seeing the sunrise at the beach and wetting a line...Not too cold...

Might go see the Newport Harbor Parade of lights (Christmas Boat Parade) on Friday... It's rated one of the top 10 Christmas light thingys in the country by some magazine or newspaper...

Hope everyone is doing well. We miss everyone...

Brandon and the Fam

Tuesday, December 11, 2007

McKayla at Gymnastics

Yesterday was McKayla's last class for this session of gymnastics. So being the last class parents are allowed to come watch. I must say that I was so excited to see how much McKayla has learned since our mommy and me gymnastic days. She has come so far in her "tricks" as Ms. Melissa calls them. She is already on the bars trying to pull herself up and flip over. Scary in my mind, but she seems to be getting the hang of it. We filmed her with our video camera and hopefully someday soon I will learn how to get the videos off of the camera and onto the computer. For now we took some still pictures and a video off my phone which I hope will work.

Here she is in her gymnastics stance and doing her stretches on the floor

McKayla being a butterfly~ flying all around!

Tuesday, December 4, 2007

(Crystal structures from another source follow)
____________
(1)
PBE-GGA LaCePrTh, relaxed; formation energy = 0.25 eV per atom; calculated density = 8.0 g/cm³; VASP energy = -5.517 eV/atom; calculated volume = 134.51 Å³/cell
1.0
5.751 0.000 0.000
2.876 4.981 0.000
2.876 1.660 4.696
Pr Ce Th La
1 1 1 1
Cartesian
0.000 0.000 0.000
8.627 4.981 3.522
5.751 3.320 2.348
2.876 1.660 1.174

***

(2)
PBE-GGA Dy4Bi2TeSe, relaxed; calculated density = 9.1 g/cm³; VASP energy = -5.272 eV/atom; calculated volume = 233.07 Å³/cell
1.0
-2.940 1.110 -3.024
-5.546 -2.009 4.655
-2.068 5.932 4.189
Dy Bi Te Se
4 2 1 1
Cartesian
-5.658 3.062 6.626
-4.896 1.972 -0.805
-6.087 0.504 2.959
-4.467 4.530 2.862
-2.068 5.932 4.189
-2.504 3.521 0.583
-3.807 1.962 4.422
-6.311 5.483 5.005

***

(3)
PBE-GGA HF, relaxed; calculated density = 1.7 g/cm³; VASP energy = -4.143 eV/atom; calculated volume = 19.58 Å³/cell
1.0
-0.160 -2.241 -1.058
2.754 -0.859 -1.114
1.625 -2.160 1.635
H F
1 1
Cartesian
3.061 -2.801 0.907
1.681 -1.519 -1.047

***

(4)
PBE-GGA HoZnGaCu6, relaxed; formation energy = 0.09 eV per atom; calculated density = 7.9 g/cm³; VASP energy = -3.628 eV/atom; calculated volume = 286.84 Å³/cell
1.0
6.872 0.000 0.000
0.000 8.675 0.000
-3.436 -4.338 4.811
Ho Zn Ga Cu
2 2 2 12
Cartesian
3.436 2.169 2.058
0.000 2.169 2.754
1.718 -2.169 2.406
-1.718 -2.169 2.406
3.436 4.338 0.000
3.436 0.000 0.000
3.436 6.507 0.792
3.436 -2.169 4.627
5.629 0.036 1.228
1.243 4.302 1.228
1.243 0.036 1.228
5.629 4.302 1.228
0.000 -2.169 4.019
0.000 6.507 0.184
-2.193 4.302 3.583
2.193 0.036 3.583
2.193 4.302 3.583
-2.193 0.036 3.583

***

(5)
PBE-GGA HfH2I3, relaxed; calculated density = 4.6 g/cm³; VASP energy = -4.137 eV/atom; calculated volume = 406.71 Å³/cell
1.0
8.521 0.000 0.000
-4.261 7.379 0.000
0.000 0.000 6.468
Hf H I
2 4 6
Cartesian
0.000 0.000 0.000
0.000 0.000 3.234
0.000 4.920 5.227
4.261 2.460 1.993
4.261 2.460 1.241
0.000 4.920 4.475
2.180 6.179 1.617
0.000 2.402 1.617
-2.181 6.179 1.617
2.080 1.201 4.851
4.260 4.978 4.851
6.441 1.201 4.851

***

(6)
PBE-GGA ZnOs2Se, relaxed; calculated density = 14.6 g/cm³; VASP energy = -6.255 eV/atom; calculated volume = 59.89 Å³/cell
1.0
-1.035 -8.165 1.448
1.786 -8.129 0.749
0.957 -7.541 3.472
Os Se Zn
2 1 1
Cartesian
0.005 -0.069 0.016
0.849 -11.849 2.818
1.281 -17.876 4.252
0.427 -5.959 1.417


(1)
Computed, not measured: crystalline NaBiP2S at its relaxed geometry at the PBE-GGA level of DFT.

Lattice parameters (Å, degrees): 4.8620 4.8620 4.9328 90.00 90.00 90.00
Fractional positions:
Na1 0.0000 0.0000 0.0000
Bi1 0.5000 0.5000 0.5000
P1 0.0000 0.5000 0.0000
P2 0.5000 0.0000 0.0000
S1 0.0000 0.0000 0.5000

Summary:
**V**: 23.322 A^3/atom
**Uncorrected formation energy**: 1.059 eV/atom
**Space group**: P4/mmm

(2)
Computed, not measured: crystalline Pr2Dy4Y at its relaxed geometry at the PBE-GGA level of DFT.

Lattice parameters (Å, degrees): 7.1124 8.6355 8.8980 114.14 101.50 101.80
Fractional positions:
Pr1 0.0000 0.0000 0.0000
Pr2 0.0912 0.5374 0.8383
Pr3 0.3176 0.7001 0.5670
____________


This past weekend was pretty exciting for McKayla. She is going to be the flower girl in Justin (Brandon's old college roommate) and Amy's wedding in March, so she got to model some beautiful dresses for us on Sunday. Sorry no pics of that~ Bad parents didn't bring the camera. We will get pics of her for sure when she is actually in the wedding and post them. I am sure you can all imagine how beautiful she was in the dresses anyways. For her gift Justin and Amy took her to a Build-A-Bear workshop in Fashion Island for her to create her very own friend. We have never been to a build-a-bear before so this was an exciting adventure for all of us. When we walked into the store we were bombarded with so many different animals, teddy bears, dinosaurs and even reindeers (for the holiday season) to pick from as step 1. McKayla took her time and checked out each and every one of the options but as soon as she saw the green dinosaur (a triceratops to be exact) she was sold. Next we take it to the sound station where McKayla got to pick out what noise she wanted in her dinosaur. She decided on a "Roaring" sound although she claims it is not a scary dinosaur but it is a good fit. Next we take it to the stuffing station where they stuff it a little bit and then they have the kids pick out a heart, rub it in between thier hands, pat it and put it in the animal. Here are some pics of McKayla watching her dinosaur get stuffed.. (Thanks Justin for the pictures)

After that Mackie got to pick out clothes for the dinosaur. They had more options for clothes there than I would have ever thought possible. She decided on a blue fairy princess dress and some high heels to match. Here are some pics of Mackie and daddy dressing the dinosaur.

So after all this you would think we were done. WRONG! Now it is time to get a birth certificate and name the dinosaur. McKayla picked out the name Sella for her dinosaur. The Birth Certificate is printed out and waiting at the cash register for you, but also near the register are tons of accessories for the "bears". McKayla being the girlie girl she is could not resist in getting Sella a purse. I am sure she would have gone all out with accessories if we would have let her. McKayla had so much fun picking out her new friend and we have a new member of the family that joins us everywhere we go. She even goes to work with mommy~ (mommy lets her keep an eye on the car to make sure no one breaks in~ just don't tell Mackie) Here is McKayla with Sella

Thank you Justin and Amy again for Sella~ McKayla loves her new best friend!

Wednesday, November 14, 2007

Halloween and NM Vacation

Here I go already slacking on keeping things up to date on our blog. Well a lot has been going on since we last posted. We of course had Halloween and McKayla (I mean Sleeping Beauty) was of course just gorgeous. We had dressed her and Uncle Fisher up the Sunday before Halloween and took them out to the pumpkin patch for some pictures and then we went trick-or-treating to some friends and family around here that we knew we wouldn't get to Halloween night. So here is a picture of the Beauty herself

The day after Halloween we took off to visit NM! We had a great time but like always the trip was a short one (I would probably still say that if we were there a whole month). We got to go to an Aggie Football game.. GO AGGIES... Unfortunately they lost~ Oh well it was still fun. Here is a pic of the gang at the Aggie game.

Anthea and McKayla got to go to the Renaissance Faire, Brandon and McKayla took a trip up to Ruidoso and the rest of the time was spent just hanging with the families.

Here is a picture of all the cousins hanging out at Papa's house

Anthea's Grandma celebrating her b-day at Grandma Cristy's house

Us with Grandma Karla, Uncle Trappy, Granny B and Grandpa

McKayla with a long long long time friend of mommy's~ Beck

Monday, October 22, 2007


Well no photos this time. This weekend was good, Friday we went out to Macaroni Grill for a late dinner for Anthea's birthday so the rest of the family could celebrate with her. Saturday I had our SWBA finale called the "Nightmare on Wall Street" tourney. It was the top 10 (actually 12) teams from the year and we fished only the Long Beach Breakwall. Partner and I did well and took 2nd Place so that was cool. Fishing was a little slow all around though. Sunday the three of us went out to a big RV show in Pomona to get familiar with RVs since I am starting a side venture publication on RVing with a friend of mine.

The fires are the big news out here. There is one here south of us in Irvine, a bunch in San Diego, and some up by Malibu. I'm sure you have heard something about them or you've been living under a rock the last week. The sky is nasty and brown and the sun is blotted out much of the time today. The Santa Ana winds haven't let up yet and keep making things worse. We are safe as we live close to the harbor and away from major hills and such. Talked to my friend Marco who is living down in San Diego and he said it is really bad outside with the air quality and that he and his girlfriend are doing fine, but if the fire(s) get close to them they might have to head up here to hang with us. He said the 5 fwy heading north is already grid-locked...Praying that things get better for everyone. Feel bad for those that lost their homes and are displaced...

Miss everyone, hope everyone reading this is doing well..

Brandon and the fam

Friday, October 12, 2007

Condor 2-day trip

Well I went on a 2-day trip on the Condor "for work" on 10.7 - 10.9 and the fishing was rather poor. The weather was pretty killer, but the boat had 30 or so people on it and I think we only got around 20 fish. I managed to get one 10-lb. or so dorado.

Dad went on this trip too, but he didn't manage to get anything. But he was also shooting pics half the time and plus the fishing was rather slow for a 2-day.. Anyways, Anthea's Mom and Danny and her sister Sonia and the kids are here. They all went up to the Getty Center in LA today and I'm stuck working. Anthea's birthday is this weekend so it should be fun. Miss everyone...


Monday, October 8, 2007

Sand Castles

Yesterday we went down to Corona Del Mar beach for thier yearly sand castle contest. It had been a little cool the last couple of days so we figured being down by the water it would be a good idea to dress a little warmer. Boy were we wrong. The weather was absolutely gorgeous! A beautiful day to hang out at the beach all day. Too bad we were not dressed for the occassion. Being fully dressed never stops McKayla from getting in the water though. Forget about the sand castles she wanted to get her feet wet.

We did get to see the different sand creations and here are some of our favorites

This one is called "Mt. Lushmore" Carved into it is supposed to be Brittany Spears, Paris Hilton, Nicole Richie and Lindsay Lohan~ Not really one of our favorites but kind of funny!

Poor Nemo! They turned him into a fish taco!

This octopus was McKayla's favorite!

"The King has Two Thrones" I loved this one~ The king is walking from his castle to the outhouse! So clever!

Friday, October 5, 2007

Hi guys,

Well, things have been going well. McKayla has been doing awesome in school and is in the 4-year-old pre-K class and the teacher says she is doing excellent. We're still getting adjusted to her not taking naps anymore, but we're getting there. Penn and Tina had their baby boy a few weeks ago so they are enjoying him and taking some time off. Dad and Alison's little boy Fisher (my little brother) might have to have surgery on his head because of the way the skull is fusing together as he grows. It isn't life threatening, but is a cosmetic thing that might need to be done.

I don't have any recent photos other than a shot of the girls from the Angel game a couple weeks ago and then a shot of me and a 5-lb. sand bass.

I went fishing with my buddy Eric and we had a pretty decent evening of fishing at the Oil Islands, which are man made oil paltforms off Long Beach in the Long Beach Harbor. They are really pretty at night and host a ton of fish around them.. I really like this type of fishing... I have the 5th tournament of the SWBA, which is a saltwater bass fishing series out here that I cover (and fish) for the paper, on Saturday. Hope we do good...

Well, talk to everyone soon. Miss everybody...


Friday, September 21, 2007


Hi all,

I was trying to think of a way to keep everyone updated with our lives. As long as I can get my butt to update this thing often I hope this will do the trick. I can put pictures up on the posts so I am going to try and steal the camera back from Brandon and start taking some more. McKayla seems to change so much and we are the worst at getting recent pictures to everyone. So keep checking on this and feel free to comment!

We Love and Miss all of you,

The Cotton Clan

So since I don't have any recent pics right here I will sign off with one of my favorites